Quote Originally Posted by itsmymoney View Post

=====
Pa3W after structural relaxation. Source: Materials Project, functional PBE.

a b c (Å): 5.830 5.830 5.830
angles (deg): 137.03 137.03 62.40
Sites, in units of the cell vectors:
W 0.000 0.000 0.000
Pa 0.250 0.750 0.500
Pa 0.500 0.500 0.000
Pa 0.750 0.250 0.500

Calculated values
* electronic total energy: -10.07 eV/atom
* SG: I4/mmm (139)
* formation enthalpy at 0 K: 29.10 kJ/mol of atoms
* total magnetization: 0.0 μB per formula unit

***

Pd13Pb9 after structural relaxation. Source: Materials Project, functional PBE.

a b c (Å): 9.265 9.265 14.205
angles (deg): 60.92 60.92 60.02
Sites, in units of the cell vectors:
Pd 0.624 0.877 0.749
Pd 0.264 0.500 0.500
Pd 0.980 0.256 0.006
Pd 0.901 0.133 0.875
Pd 0.500 0.736 0.000
Pb 0.420 0.246 0.387
Pd 0.744 0.020 0.494
Pd 0.877 0.624 0.249
Pd 0.603 0.344 0.140
Pb 0.991 0.328 0.625
Pd 0.099 0.867 0.125
Pb 0.672 0.009 0.875
Pb 0.993 0.750 0.618
Pb 0.009 0.672 0.375
Pd 0.736 0.500 0.500
Pd 0.902 0.657 0.870
Pb 0.124 0.876 0.750
Pd 0.375 0.625 0.250
Pb 0.328 0.991 0.125
Pb 0.750 0.993 0.118
Pb 0.473 0.728 0.384
Pd 0.133 0.901 0.375
Pd 0.656 0.397 0.360
Pd 0.397 0.656 0.860
Pb 0.728 0.473 0.884
Pd 0.123 0.376 0.751
Pd 0.625 0.375 0.750
Pb 0.007 0.250 0.382
Pb 0.876 0.124 0.250
Pd 0.344 0.603 0.640
Pd 0.867 0.099 0.625
Pb 0.527 0.272 0.616
Pb 0.754 0.580 0.113
Pb 0.250 0.007 0.882
Pd 0.657 0.902 0.370
Pd 0.098 0.343 0.130
Pb 0.272 0.527 0.116
Pd 0.376 0.123 0.251
Pd 0.020 0.744 0.994
Pd 0.500 0.264 0.000
Pd 0.256 0.980 0.506
Pd 0.343 0.098 0.630
Pb 0.580 0.754 0.613
Pb 0.246 0.420 0.887

Calculated values
* electronic total energy: -4.84 eV/atom
* SG: C2/c (15)
* formation enthalpy at 0 K: -24.68 kJ/mol of atoms
* total magnetization: 0.0 μB per formula unit

***

PdPb2 after structural relaxation. Source: Materials Project, functional PBE.

a b c (Å): 5.793 5.793 5.793
angles (deg): 105.14 105.14 118.54
Sites, in units of the cell vectors:
Pb 0.337 0.163 0.500
Pb 0.163 0.663 0.827
Pb 0.663 0.837 0.500
Pd 0.750 0.750 0.000
Pd 0.250 0.250 0.000
Pb 0.837 0.337 0.173

Calculated values
* electronic total energy: -4.41 eV/atom
* SG: I4/mcm (140)
* formation enthalpy at 0 K: -19.78 kJ/mol of atoms

***

Pd5Pb3 after structural relaxation. Source: Materials Project, functional PBE.

a b c (Å): 7.365 7.365 7.460
angles (deg): 63.99 63.99 64.21
Sites, in units of the cell vectors:
Pb 0.703 0.589 0.710
Pb 0.411 0.297 0.290
Pd 0.450 0.716 0.085
Pd 0.793 0.045 0.412
Pd 0.376 0.963 0.656
Pd 0.284 0.550 0.915
Pd 0.625 0.884 0.241
Pd 0.037 0.624 0.344
Pb 0.241 0.759 0.500
Pb 0.836 0.465 0.207
Pb 0.535 0.164 0.793
Pb 0.011 0.989 0.000
Pd 0.955 0.207 0.588
Pd 0.116 0.375 0.759
Pd 0.868 0.796 0.832
Pd 0.204 0.132 0.168

Calculated values
* electronic total energy: -4.90 eV/atom
* SG: C2 (5)
* formation enthalpy at 0 K: -25.80 kJ/mol of atoms
* total magnetization: 0.0 μB per formula unit

***

Pd3Pb after structural relaxation. Source: Materials Project, functional PBE.

a b c (Å): 4.120 4.120 4.120
=====

Why did you delete your #25 post today at 9:31 am? If anyone does not remember, NONOFED basically stated (NONOFED, correct me if I'm wrong) that if FRN's are also considered "lawful money", then how does the IRS/Fed know that we are demanding NON-Federal-Reserve "lawful money"? In other words, demanding our pay be redeemed by U.S. Treasury's funds outside any private credit being extended by the Fed either to the Treasury or to the suitors making the demand.

Here is an interesting notation about lawful money from the FRS website. Most of us know that the true definition of "lawful money" means the U.S Note/coinage variety, i.e. NON-FRN's. This website appears to stretch the true definition of "lawful money", and other than Milam, I don't know what other court cases state that FRN's are "lawful money" as such (meaning, NOT the true definition that we the suitors know it to be)... http://www.federalreserve.gov/faqs/money_15197.htm

My point is: Why are 'we' not being more explicit in our demand? For example, perhaps something like the following...

"Lawful money and full discharge is demanded for all transactions explicitly with the U.S. Treasury, per 12 USC 411 and 95a(2)". Or the simpler...
"Demand in lawful money explicitly with the U.S. Treasury per 12 USC 411".

These materials data were left in the piece by mistake =
/*
The following is a DFT calculation (GGA-PBE) of crystalline Sr2LiCuBrO2 at its relaxed geometry.

Summary:
ΔE to the lowest computed polymorph = 0.37 eV per formula unit

a = 4.0719 Å, b = 4.0719 Å, c = 29.9839 Å
α = 90.00°, β = 90.00°, γ = 120.00°
Space group R3m (No. 160, hexagonal axes)
Symmetry-distinct sites (fractional):
Sr  0.0000  0.0000  0.0000 [3 per cell]
Sr  0.0000  0.0000  0.4888 [3 per cell]
Li  0.0000  0.0000  0.5997 [3 per cell]
Cu  0.0000  0.0000  0.2357 [3 per cell]
Br  0.0000  0.0000  0.7385 [3 per cell]
O  0.0000  0.0000  0.1730 [3 per cell]
O  0.0000  0.0000  0.3021 [3 per cell]



The following is a DFT calculation (GGA-PBE) of crystalline Sr2LiCuBrO2 at its relaxed geometry.

Summary:
ΔE to the lowest computed polymorph = 0.00 eV per formula unit

a = 4.2320 Å, b = 4.2320 Å, c = 29.5879 Å
α = 90.00°, β = 90.00°, γ = 120.00°
Space group R3m (No. 160, hexagonal axes)
Symmetry-distinct sites (fractional):
Sr  0.0000  0.0000  0.0000 [3 per cell]
Sr  0.0000  0.0000  0.4653 [3 per cell]
Li  0.0000  0.0000  0.8703 [3 per cell]
Cu  0.0000  0.0000  0.7394 [3 per cell]
Br  0.0000  0.0000  0.2368 [3 per cell]
O  0.0000  0.0000  0.6763 [3 per cell]
O  0.0000  0.0000  0.8064 [3 per cell]



The following is a DFT calculation (GGA-PBE) of crystalline MgCu3Te2Br2O6 at its relaxed geometry.

a = 10.080 Å, b = 6.660 Å, c = 8.710 Å
α = 90.00°, β = 110.99°, γ = 90.00°
Space group C2 (No. 5)
Symmetry-distinct sites (fractional):
Mg  0.000  0.000  0.000 [2 per cell]
Cu  0.000  0.451  0.000 [2 per cell]
Cu  0.152  0.756  0.849 [4 per cell]
Te  0.165  0.268  0.747 [4 per cell]
Br  0.245  0.697  0.637 [4 per cell]
O  0.079  0.470  0.838 [4 per cell]
O  0.100  0.051  0.843 [4 per cell]
O  0.149  0.777  0.088 [4 per cell]



The following is a DFT calculation (GGA-PBE) of crystalline CuMo3Br7 at its relaxed geometry.

a = 13.737 Å, b = 13.737 Å, c = 13.737 Å
α = 90.00°, β = 90.00°, γ = 90.00°
Space group Pn-3 (No. 201, origin choice 2)
Symmetry-distinct sites (fractional):
Cu  0.062  0.062  0.062 [8 per cell]
Mo  0.024  0.531  0.869 [24 per cell]
Br  0.061  0.578  0.685 [24 per cell]
Br  0.074  0.624  0.183 [24 per cell]
Br  0.136  0.136  0.364 [8 per cell]



Number 1: formation enthalpy at 0 K -1.835 eV per atom, size of the total moment 2.96 μB per cell. Number 2: formation enthalpy at 0 K -1.888 eV per atom, size of the total moment 2.89 μB per cell. Number 3: formation enthalpy at 0 K -1.229 eV per atom, size of the total moment 2.00 μB per cell. Number 4: formation enthalpy at 0 K -0.962 eV per atom, size of the total moment 0.00 μB per cell.

* * * * *

# 1
The following is a PBE-GGA calculation of a geometry-optimized SmAlF5 structure, from Materials Project.

Structure (CIF):
```
data_SmAlF5
_symmetry_space_group_name_H-M 'P 1'
_symmetry_Int_Tables_number 1
_cell_length_a 9.190
_cell_length_b 9.420
_cell_length_c 9.596
_cell_angle_alpha 70.72
_cell_angle_beta 84.62
_cell_angle_gamma 73.10
loop_
_symmetry_equiv_pos_as_xyz
'x,y,z'
loop_
*/

D555 (and others) have stated that we should not leave anything to chance, especially with these 'people'. So I'm curious why our current demand methods are not more explicit as to NOT wanting anything to do with the so-called "lawful money" of the Fed. My original demand letter to the Treasury back in 2013 states as such, the excerpt here...

"This demand is made for the express purpose of exercising my remedy under the law and to rebut the false and presumptive notion that I voluntarily endorse the private credit of the Federal Reserve. I expressly do not endorse private Federal Reserve credit in any form."

Someone pasted data records at this point.
=====
## Tm4CuGe8 (PBE)

Data for an optimized crystal structure of Tm4CuGe8. Values from VASP.

Geometry as Quantum ESPRESSO input:
```
&SYSTEM
  ibrav = 0, nat = 13, ntyp = 3
/
ATOMIC_SPECIES
Tm 168.93 Tm.upf
Cu 63.55 Cu.upf
Ge 72.64 Ge.upf
ATOMIC_POSITIONS angstrom
Tm 0.0000 1.6063 0.9870
Tm 2.0171 9.9190 0.9870
Tm 2.0171 6.4922 2.9609
Tm 0.0000 14.5527 2.9609
Cu 0.0000 5.2642 0.9870
Ge 0.0000 7.5903 0.9870
Ge 2.0171 15.3933 0.9870
Ge 2.0171 0.7619 2.9609
Ge 0.0000 9.1893 2.9609
Ge 2.0171 3.8555 0.9870
Ge 0.0000 12.1755 0.9870
Ge 0.0000 3.8482 2.9609
Ge 2.0171 12.2974 2.9609
CELL_PARAMETERS angstrom
0.0000 0.0000 3.9479
4.0342 0.0000 0.0000
0.0000 16.2940 0.0000
```

Summary:
=====

Perhaps I'm missing something here. I'm just surprised that we are not a little more emphatic in our novations.
I removed post because there wasn't a response to my questions and figured that I had most information I needed to proceed. I concluded that FRNs are FRNs regardless as there is no distinction between it, its printed by the FED, its source issuing authority is corrupt, is already in circulation, you cant change its nature, the deed is done. I want nothing to do with FRNs. Coin is considered lawful money, and the process i'm using to redeem is taking all cash and converting it to coin. In so doing I am redeeming for non-debt currency as coin, it has no association with the FED and is of the US Treasury. The banks can keep their FRN notes and I only do business in coin. Thus putting coin in circulation, creating a "demand", and not supporting FRN currency period. The FED has to purchase coin at face value from the treasury and is obligated to put it into circulation. Thus generating revenue for US Treasury and reversing debt incurred from the FED.